== Entries ==
____________
[1]
The following is a DFT calculation (the ωB97M-V functional and the def2-TZVPD basis) of a molecular structure, C2H24AgBF6NO14S2 at a distorted geometry.

The LUMO energy (alpha / beta) comes out at -3.4966 / -9.7594 eV. The net charge is +1. The calculated total energy is -2765.4481 hartree. Its orbital gap (alpha / beta) is 0.3746 / 0.1404 hartree. As for the spin multiplicity: 3.

CARTESIAN COORDINATES (ANGSTROEM)
Ag (-1.071515, -0.410524, -0.885917)
C (-2.800445, 3.691316, -0.466037)
F (-3.279215, 3.006076, 0.530663)
F (-3.616775, 4.747996, -0.612507)
F (-1.602235, 4.180706, -0.211767)
S (-2.727485, 2.570226, -1.997627)
O (-3.818335, 1.620346, -1.942617)
O (-2.763795, 3.404536, -3.181407)
N (-1.282255, 1.586856, -1.745037)
S (-0.079675, 2.359076, -2.385747)
O (-0.191265, 3.816216, -2.301747)
O (1.239835, 1.860976, -1.924017)
C (-0.212715, 1.865616, -4.315077)
F (0.621395, 0.883486, -4.539307)
F (-1.416125, 1.415846, -4.551827)
F (0.013315, 2.953496, -5.064447)
B (0.949285, -0.683184, 0.241093)
H (0.871275, -1.215094, -0.694447)
H (1.985775, -0.698674, 0.540573)
H (0.656875, 0.329006, 0.008243)
H (0.289685, -1.159084, 0.950093)
O (-1.774485, -1.354774, 3.599253)
H (-1.963245, -1.649804, 4.490073)
H (-1.405155, -2.123694, 3.164993)
O (-1.338655, -2.691074, -0.274527)
H (-0.652545, -3.334804, -0.450817)
H (-2.095325, -3.213534, -0.008597)
O (0.490465, 0.656936, 3.614353)
H (0.020165, -0.033004, 3.146353)
H (0.125935, 1.472146, 3.269713)
O (2.033485, -1.541124, 4.306553)
H (1.446775, -1.733074, 3.575003)
H (2.902845, -1.782034, 3.986543)
O (0.335815, -2.950624, 2.502893)
H (0.851965, -3.745574, 2.369173)
H (0.471955, -2.439104, 1.705363)
O (3.651915, -2.120854, 1.172203)
H (3.089725, -1.428094, 0.825403)
H (4.538025, -1.857874, 0.923433)
O (2.521505, 1.437196, 1.393213)
H (2.201825, 0.665596, 0.925593)
H (1.735385, 1.954476, 1.568353)
O (3.062445, -0.848024, -1.996427)
H (2.927585, -1.591034, -2.584627)
H (2.199015, -0.681484, -1.618297)
O (-0.111715, -1.271134, -2.868747)
H (-0.623265, -1.785884, -3.492907)
H (0.737975, -1.710564, -2.834687)
O (-2.079245, -0.131974, 1.133423)
H (-2.114565, -0.531074, 2.002733)
H (-2.952225, 0.238646, 1.003863)

Cartesian forces (eV/Å) of the 3 atoms listed first:
Ag -0.81 0.67 -1.00
C -0.12 1.96 -0.53
F 0.10 -1.17 0.97

=====

[2]
The following is a DFT calculation (the ωB97M-V functional and the def2-TZVPD basis) of 13 unconnected molecules or ions with the total composition C2H27O14 at a distorted geometry.

The LUMO energy comes out at 1.5919 eV. The energy above the lowest of the compared OMol25 structures with the same formula, charge and spin is 105.3 kJ/mol. The net charge is -1. The calculated total energy is -1145.8668 hartree. Its orbital gap is 0.3050 hartree.

CARTESIAN COORDINATES (ANGSTROEM)
C (0.987494, -0.258593, -0.168704)
C (-0.416196, 0.066007, -0.658794)
O (-0.722996, -0.250933, -1.777304)
O (-1.195826, 0.813447, -0.028044)
H (1.330164, -1.233303, -0.516014)
H (0.970514, -0.253213, 0.921156)
H (1.740374, 0.426347, -0.558724)
O (1.232154, -1.970693, -3.560864)
H (1.590554, -2.641273, -2.979414)
H (0.651804, -1.453783, -3.002074)
O (-2.772656, -2.503093, -1.410484)
H (-2.336836, -1.683673, -1.644664)
H (-3.580816, -2.229583, -0.976554)
O (-0.215056, 3.311477, -1.053944)
H (-0.550076, 2.471347, -0.740634)
H (0.460474, 3.078067, -1.690664)
O (-1.440716, 1.366257, -4.265744)
H (-1.179716, 0.750137, -3.581274)
H (-1.432756, 0.848287, -5.070644)
O (2.834714, 3.534157, 0.353196)
H (2.483624, 3.244647, -0.488914)
H (2.063664, 3.789557, 0.859646)
O (3.958494, -1.956263, 0.545906)
H (3.377044, -2.618603, 0.919336)
H (3.846154, -1.192063, 1.111236)
O (-3.155286, 1.680867, -1.648334)
H (-2.443116, 1.293887, -1.139114)
H (-2.824556, 1.701427, -2.546344)
O (2.203444, -0.057703, 3.302106)
H (2.599114, -0.785243, 3.782076)
H (1.320734, -0.361543, 3.090606)
O (-1.098726, 1.479387, 2.755116)
H (-0.662536, 0.657267, 2.978906)
H (-1.035966, 1.532497, 1.801456)
____________

== Request ==
Now restate the lines above up to the one that holds "(-3.616775, 4.747996,", that line included.

== Worked solution ==
[1]
The following is a DFT calculation (the ωB97M-V functional and the def2-TZVPD basis) of a molecular structure, C2H24AgBF6NO14S2 at a distorted geometry.

The LUMO energy (alpha / beta) comes out at -3.4966 / -9.7594 eV. The net charge is +1. The calculated total energy is -2765.4481 hartree. Its orbital gap (alpha / beta) is 0.3746 / 0.1404 hartree. As for the spin multiplicity: 3.

CARTESIAN COORDINATES (ANGSTROEM)
Ag (-1.071515, -0.410524, -0.885917)
C (-2.800445, 3.691316, -0.466037)
F (-3.279215, 3.006076, 0.530663)
F (-3.616775, 4.747996, -0.612507)